Happy 4th of July: Forgetting to Remember
=====
18
Properties=species:S:1:pos:R:3 method="wB97M-V/def2-TZVPD" gap_ev=9.9 de_lowest_kcal_mol=75.0 smiles="[H]/N=N/[C@@]1(O)CCC(C)=N1" charge=0 e_homo_ev=-8.930 spin_multiplicity=1 largest_force_ev_per_a=3.832
H -3.589 0.534 -1.921
N -2.759 0.763 -1.394
N -2.563 -0.146 -0.544
C -1.410 0.136 0.530
O -2.037 0.402 1.719
C -0.731 -1.192 0.620
C 0.639 -0.852 -0.012
C 0.631 0.620 -0.053
C 1.739 1.339 -0.739
N -0.464 1.233 0.234
H -2.543 1.203 1.723
H -0.895 -1.487 1.732
H -1.325 -1.955 0.041
H 0.693 -1.154 -1.033
H 1.475 -1.107 0.527
H 2.756 1.012 -0.232
H 1.516 2.411 -0.853
H 1.704 0.911 -1.666


19
Properties=species:S:1:pos:R:3 method="wB97M-V/def2-TZVPD" gap_ev=8.8 de_lowest_kcal_mol=56.4 smiles="[H]/N=C(/C)CC.OSO" charge=0 e_homo_ev=-8.045 spin_multiplicity=1 largest_force_ev_per_a=4.169
H -0.069 0.294 -1.555
N 0.231 -0.462 -0.854
C -0.479 -0.532 0.166
C -0.029 -1.477 1.282
C -1.799 0.201 0.455
C -2.199 0.858 -0.885
H 0.312 -2.333 0.905
H 0.713 -1.037 1.979
H -0.950 -1.728 1.746
H -1.483 0.989 1.086
H -2.477 -0.500 0.965
H -2.425 0.073 -1.645
H -2.963 1.580 -0.841
H -1.380 1.354 -1.236
O 3.122 1.744 -0.626
S 3.044 0.612 0.590
O 2.888 -0.836 -0.175
H 4.011 2.079 -0.671
H 1.930 -0.877 -0.686


23
Properties=species:S:1:pos:R:3 method="wB97M-V/def2-TZVPD" gap_ev=7.2 de_lowest_kcal_mol=69.3 charge=0 e_homo_ev=-6.390 spin_multiplicity=1 largest_force_ev_per_a=4.487
N 2.045 -0.454 -1.110
C 0.827 0.301 -1.205
C 0.528 1.266 -0.221
N 1.392 1.496 0.841
O -0.282 2.303 -0.588
H 2.170 -1.106 -1.875
H 2.893 0.108 -1.092
H 0.409 0.498 -2.187
H 0.910 1.624 1.723
H 2.062 0.741 0.930
H -0.435 2.873 0.177
C -2.330 0.423 0.622
N -0.985 0.046 0.997
C -0.435 -1.014 0.395
N -1.099 -1.824 -0.515
N 0.580 -1.652 1.102
H -2.626 1.270 1.244
H -3.055 -0.378 0.797
H -2.413 0.737 -0.431
H -0.488 -2.485 -0.975
H -1.660 -1.323 -1.187
H 0.794 -1.182 1.968
H 1.197 -2.267 0.591


28
Properties=species:S:1:pos:R:3 method="wB97M-V/def2-TZVPD" gap_ev=10.0 de_lowest_kcal_mol=15.8 smiles=CC(C)CCN(C)C.O charge=0 e_homo_ev=-9.086 spin_multiplicity=1 largest_force_ev_per_a=1.149
C 2.568 -1.067 -0.165
C 1.181 -0.772 -0.761
C 1.088 -1.282 -2.208
C 0.845 0.727 -0.683
C -0.643 1.037 -0.630
N -1.268 0.625 0.655
C -1.974 1.738 1.286
C -2.219 -0.479 0.452
H 2.522 -1.259 0.914
H 2.980 -1.984 -0.595
H 3.241 -0.219 -0.318
H 0.474 -1.410 -0.226
H 1.782 -0.813 -2.908
H 0.061 -1.212 -2.598
H 1.222 -2.375 -2.219
H 1.292 1.249 -1.533
H 1.328 1.103 0.220
H -1.165 0.597 -1.478
H -0.751 2.120 -0.702
H -2.884 1.976 0.754
H -2.162 1.460 2.325
H -1.402 2.673 1.285
H -2.938 -0.470 1.270
H -1.708 -1.445 0.551
H -2.736 -0.467 -0.509
O 0.792 0.056 2.604
H 0.304 -0.276 3.357
H 0.172 0.171 1.861


11
Properties=species:S:1:pos:R:3 method="wB97M-V/def2-TZVPD" gap_ev=7.1 de_lowest_kcal_mol=28.5 charge=-1 e_homo_ev=-3.851 spin_multiplicity=1 largest_force_ev_per_a=5.074
C 1.567 -1.827 0.485
C -0.177 -0.511 -0.606
N 2.589 0.718 -0.524
O 2.160 -2.194 1.517
O 2.392 2.521 1.263
O 0.400 -1.067 0.547
S 2.991 2.049 -0.034
=====
== So much for the data records ==

I would love to introduce my family friend, Almani Canada, who modeled for our recent photoshoot.
Forgetting to Remember
July 4th is coming up and it makes me think of independence and freedom. Two things I once thought all Americans, regardless of skin color or heritage, were entitled to. However, in light of the recent events that have occurred in this country, I have accepted the fact that the liberty and justice promised to all Americans, was liberty and justice for the white, and wealthy Americans. After hundreds of years, black Americans are just now starting to get the justice promised in this country because everyone is coming together in taking a stand against hate. Here’s to a memorable 4th of July.
I remember when I first learned about Martin Luther King Jr. and who he was. I remember how it felt learning about a black man that made the most impactful change this country had ever seen. And how that felt being though I was one of two black kids in my entire elementary school. I remember how it felt to learn about a society that thought people that looked like me were treated less than simply because of the color of our skin. An idea almost thought to be something born of a dystopian world, but in fact, was the world I was living in. I remember all the stories I heard about these people that looked like me living in this world. From the brave like Rosa Parks, Malcolm X, and Ruby Bridges, to the scary like Emmet Till and plenty of others that met his same sad fate. I remember how those stories invigorated me into learning more about these people, and how to stop this scary, evil mindset from coming back (I thought it was a thing of the past because I had white friends and they were so nice...little did I know).
I vowed to never forget the struggles that my people had experienced in the past and be vigilant in spreading the word to whoever would hear about the senseless injustices and crimes committed against African Americans during these times. But as time passed by I was slowly forgetting. I was becoming complacent in a society that I thought accepted me but in reality, was merely a facade of inclusion. An illusion that I was the same as my white peers, but still treated differently than them. And that's when I started to remember my vow. I remembered when Trayvon Martin was killed for walking in his own neighborhood, and the man who killed him was cleared of all charges. I remembered when Donald Trump was elected president, and studies showed that racial differences started to increase. And finally, I remembered with the death of George Floyd.
His death scared me because I remember thinking, another death of a black man by another cop. It was almost like it became typical at that point. And that’s what made me afraid that. That I thought of this as usual. But it soon became unusual. People were speaking up about this injustice. People from all walks of life: black, white, rich, poor. Everyone was out in the streets, calling for justice for this black man. People’s tolerance for this behavior of racism, and bias, was over. And that's when I started to fully remember my vow, and also why I forgot it in the first place.
Because it had seemed as though people around me weren’t acknowledging the problems black people had faced, and we’re still facing, in this country. But now I feel like people’s eyes are finally being open. They are willing to listen, learn, and change their previous behavior to break the cycle of the disease of racism that has afflicted this nation for far too long. I now feel comfortable having discussions with my white friends and roommates regarding the issues African Americans face in this country, and they’re willing to sit and listen. I feel confident to tell them to sign petitions and inform themselves with black history the textbooks never taught them because they are willing to gain more knowledge to make a change. For a while, it seemed as though I was forgetting the promise I made to myself to remember the history, and inform others of the dangers our bias could bring. But the world wouldn’t allow me to forget. Because now is the time for change.
Almani Canada
There are many petitions in support of various causes to improve the treatment of African Americans and racial justice in this country on Change.org
For info and resources on how to help the Black Lives Matter Movement such as petitions, donations, and protest locations, visit here.